Monday, July 25, 2011

Happy Birthday Hasten!

Hi everyone!
I have a few things to report:

So, today's my sister's 1st year birthday...big whup! She got to go to PetSmart today---so here are a few pictures of her field trip.


She couldn't decide between toys and treats...Hmphff! I would have gone for the treats! She was somewhat overwhelmed with the smells of the place, all the toys and all the treats.  Silly girl!

I went to an agility trial this weekend...with mom and Wendy and Cheetah. My first move when we checked in was to hide under the bed frog legged.  She wouldn't stop taking pictures of me so later I stayed all the way under the bed. Here's a poor quality picture taken with Mom's phone:

The first day they tried to trick me by leaving me in the hotel room but I KNEW it was an agility trial--I know what luggage and junk mom packs that means: Agility Trial! They didn't fool me at all--but I guess I was lucky as the humans complained about how hot it was and I stayed in the AC most all the day.

My friends Sully, Parker and Sassy were competing too---Parker got a 2nd place ribbon!

Mom took a picture of a thing called a Pay Phone---she thought this picture was funny--something about the sign...and the booth.  I don't get it...there is NO phone! Humans are weird! I am calling this Signs of the Times:

Bigger News:
Cheetah got her Mach 2--much excitement was generated about this event...and I must say I am really glad because I was getting tired of people talking about it! I don't know why the humans get so excited about these boring! Cheetah looked happy--and she got lots of treats and a toy. They also had cake--but Cheetah and I got none! Then Deva got her MACH 3 and there was more cake...still, we dogs got nothin'!

Saturday I ran--but didn't have too much fun. I didn't make time in Jumpers and Mom only ran a few obstacles in Standard (that was good). I have to keep the humans guessing.

Sunday for some reason I felt like running and I had a great run in Standard--at least that is what Mom said--she was VERY happy and I was 11 seconds under time--so she got one of those coveted (and far too often talked about) Q's and a 2nd place ribbon.

Here is a part of my run--mom's camera ran out of space. Wendy was in the other building where she and Cheetah were busy Q-ing in their first Time2Beat class...all my other runs (er...walks) are on her camera.

Click here: 

I will admit that I thought the course was poorly designed for a reluctant agility dog...there was a pinwheel at the end!!! Don't judges know that I can tell if a course is fun or not? No place for me to open up--no straight line to see---but I actually enjoyed it because I CAN count and knew it was the end...but mom didn't get that part on camera...a true historical moment as I HATE pinwheels!!! People--going in circles is NOT fun!!! 

Here's a picture of us getting ready to leave---I decided to take a little "rest."

Overall, it was an OK weekend. I got LOTS of treats and I didn't have to see my sister for 3 days!! Can't really complain...well, yeah--I can and will--that's what this blog is all about! Right?

Later Peeps! 
Barclay...the reluctant agility dog

Monday, July 18, 2011

Of Pond Scum and Tandem Agility

Data records, kept here for reference
=====
Compound: Cu3P
Source: the Alexandria database
Functional: PBE
Structure: optimized geometry

Its formation energy is 0.10 eV/atom. The density of states at the Fermi level is 1.10 states/eV/f.u.

It has space group Imm2 (No. 44), with a = 2.647 Å, b = 8.196 Å, c = 4.573 Å, α = 90.00°, β = 90.00° and γ = 90.00°. Symmetry generates all atoms from Cu at (0.000, 0.000, 0.000), Cu at (0.000, 0.240, 0.648) and P at (0.000, 0.500, 0.965).


Compound: InTe2Pd2
Source: the Alexandria database
Functional: PBE
Structure: optimized geometry

The energy relative to the elements, uncorrected comes out at -0.146 eV per atom. The density of states at the Fermi level is 4.66 states/eV/f.u.

It has space group P4/mbm (No. 127), with a = 7.508 Å, b = 7.508 Å, c = 3.904 Å, α = 90.00°, β = 90.00° and γ = 90.00°. Symmetry generates all atoms from In at (0.000, 0.000, 0.000), Te at (0.167, 0.333, 0.500) and Pd at (0.133, 0.633, 0.000).


No. 1
Material: KInSnS3
Method: DFT, GGA-PBE
State: optimized geometry

Properties
Raw formation energy   -402 kJ/mol of formula units

Lattice parameters (Å, degrees): 4.113 9.153 10.569 97.63 90.00 90.00
Atoms (fractional coordinates):
K: 0.250 0.146 0.149
K: 0.750 0.854 0.851
In: 0.250 0.103 0.616
In: 0.750 0.897 0.384
Sn: 0.250 0.604 0.142
Sn: 0.750 0.396 0.858
S: 0.750 0.870 0.157
S: 0.250 0.130 0.843
S: 0.250 0.828 0.509
S: 0.750 0.172 0.491
S: 0.750 0.394 0.100
S: 0.250 0.606 0.900

No. 2
Material: KInSnS4
Method: DFT, GGA-PBE
State: optimized geometry

Properties
Fermi-level density of states   0.0 states/eV/cell
Raw formation energy   -466 kJ/mol of formula units

Lattice parameters (Å, degrees): 6.980 6.980 6.612 121.86 121.86 90.00
Atoms (fractional coordinates):
K: 0.000 0.000 0.000
In: 0.250 0.750 0.500
Sn: 0.500 0.500 0.000
S: 0.160 0.128 0.697
S: 0.431 0.840 0.303
S: 0.537 0.569 0.697
S: 0.872 0.463 0.303

No. 3
Material: K2InTeS4
Method: DFT, GGA-PBE
State: optimized geometry

Properties
Fermi-level density of states   2.6 states/eV/cell
Raw formation energy   -478 kJ/mol of formula units

Lattice parameters (Å, degrees): 8.165 8.165 8.099 116.47 116.47 89.62
Atoms (fractional coordinates):
K: 0.500 0.000 0.000
K: 0.500 0.000 0.500
K: 0.000 0.000 0.500
K: 0.500 0.500 0.000
In: 0.000 0.500 0.000
In: 0.000 0.500 0.500
Te: 0.500 0.500 0.500
Te: 0.000 0.000 0.000
S: 0.187 0.720 0.928
S: 0.780 0.313 0.572
S: 0.220 0.687 0.428
S: 0.813 0.280 0.072
S: 0.795 0.758 0.011
S: 0.742 0.705 0.489
S: 0.258 0.295 0.511
S: 0.205 0.242 0.989


# 1
# PaTaTi4

PaTaTi4 after structural relaxation (PBE-GGA, Alexandria).

a b c (Å): 7.5854 7.5854 7.5854
angles (deg): 90.00 90.00 90.00
Space group F-43m (No. 216)
Asymmetric unit:
Pa (0.0000, 0.0000, 0.0000) [4 per cell]
Ta (0.2500, 0.2500, 0.7500) [4 per cell]
Ti (0.1248, 0.1248, 0.3752) [16 per cell]

Values from the calculation:
energy of formation: 15.9 kJ/mol of atoms
DOS at the Fermi energy: 9.38 states/eV/f.u.



# 2
# AlSiIrRu
=====

Hi folks! 
First, I want to address the most recent videos on Dramatic Irony of me playing with my sister. My mother clearly took the blog away from me and leaked those videos without my permission. Very embarrassing! Here is my official statement: I was forced to play with her! I WAS FRAMED!!!

-- Calculated crystals that have nothing to do with the article --
- - -
Record 1
PBE ScCu2Tc, relaxed; VASP energy = -6.173 eV per atom; space group = I-4m2 (119); density of states at the Fermi level = 2.1 states/eV/f.u.; E_form = 0.05 eV/atom; ΔE to the lowest computed polymorph = 80 meV per atom
1.0
-1.904 1.904 4.070
1.904 -1.904 4.070
1.904 1.904 -4.070
Sc Cu Tc
1 2 1
Direct
0.000 0.000 0.000
0.500 0.500 0.000
0.750 0.250 0.500
0.250 0.750 0.500

---

Record 2
PBE HfReHg2, relaxed; VASP energy = -5.202 eV per atom; space group = Fm-3m (225); density of states at the Fermi level = 3.2 states/eV/f.u.; E_form = 0.55 eV/atom; ΔE to the lowest computed polymorph = 0 meV per atom
1.0
0.000 3.358 3.358
3.358 0.000 3.358
3.358 3.358 0.000
Hf Re Hg
1 1 2
Direct
0.000 0.000 0.000
0.500 0.500 0.500
0.250 0.250 0.250
0.750 0.750 0.750

---

Record 3
PBE Sc2TlB, relaxed; VASP energy = -5.491 eV per atom; space group = R-3m (166); density of states at the Fermi level = 0.8 states/eV/f.u.; E_form = -0.06 eV/atom; ΔE to the lowest computed polymorph = 0 meV per atom
1.0
1.780 1.028 8.702
-1.780 1.028 8.702
0.000 -2.055 8.702
Sc Tl B
2 1 1
Direct
0.121 0.121 0.121
0.879 0.879 0.879
0.000 0.000 0.000
0.500 0.500 0.500

---

Record 4
PBE Li2TlSe, relaxed; formation energy without anion corrections = -14.1 kcal/mol of atoms; VASP energy = -3.030 eV per atom; space group = Pmmm (47); density of states at the Fermi level = 1.0 states/eV/f.u.
1.0
3.967 0.000 0.000
0.000 4.524 0.000
0.000 0.000 4.538
Li Tl Se
2 1 1
Direct
0.000 0.000 0.000
0.000 0.500 0.500
0.500 0.000 0.500
0.500 0.500 0.000

---

Record 5
PBE RbNa9Sr2, relaxed; VASP energy = -1.328 eV per atom; space group = R-3m (166); density of states at the Fermi level = 7.7 states/eV/f.u.; E_form = 0.02 eV/atom
1.0
3.610 2.084 11.743
-3.610 2.084 11.743
0.000 -4.169 11.743
Rb Na Sr
1 9 2
Direct
0.000 0.000 0.000
0.081 0.589 0.589
0.334 0.334 0.334
0.411 0.411 0.919
0.411 0.919 0.411
0.500 0.500 0.500
0.589 0.081 0.589
0.589 0.589 0.081
0.666 0.666 0.666
0.919 0.411 0.411
0.145 0.145 0.145
0.855 0.855 0.855

---

Record 6
PBE Cs2Np2AlS6, relaxed; formation energy without anion corrections = -28.7 kcal/mol of atoms; VASP energy = -6.345 eV per atom; space group = C2/m (12); density of states at the Fermi level = 17.9 states/eV/f.u.
1.0
3.413 -5.863 0.000
3.413 5.863 0.000
-2.337 0.000 8.219
Cs Np Al S
2 2 1 6
Direct
0.169 0.831 0.000
0.831 0.169 0.000
0.333 0.667 0.500
0.667 0.333 0.500
0.000 0.000 0.500
0.059 0.369 0.671
0.245 0.245 0.333
0.369 0.059 0.671
0.631 0.941 0.329
0.755 0.755 0.667
0.941 0.631 0.329

---

Record 7
PBE CeTlI2, relaxed; formation energy without anion corrections = -18.2 kcal/mol of atoms; VASP energy = -3.640 eV per atom; space group = R-3m (166); density of states at the Fermi level = 6.7 states/eV/f.u.
1.0
2.013 1.162 11.513
-2.013 1.162 11.513
0.000 -2.324 11.513
Ce Tl I
1 1 2
Direct
0.000 0.000 0.000
0.500 0.500 0.500
0.397 0.397 0.397
0.603 0.603 0.603

---

Record 8
- - -

Today, Hasten went with mom, Wendy and Cheetah to Ms. Barbara Hunter's farm. Hasten went to do agility but she also took some time to get in the disgusting pond!! She found out that swimming isn't that great---but unfortunately and completely just like her...she liked all the water and the black gunky pond scum stuff! Ick! HAve I mentioned that my sister is WEIRD?
Here's the link:

My mom was out trying to work with Hasten on agility for her dinner and I decided that I wanted to play. Look--I know how it sounds friends, but there was FOOD involved. So, I went out and played a little. 

Here's the link to click: 

That's all folks!!! 
Barclay the Reluctant Agility Dog

Wednesday, July 6, 2011

Inserted here: data records:
/*
Entry 1:
DFT (PBE) results for crystalline Ac2HoTl2 at its relaxed geometry.

Computed properties:
For the formation energy, the calculation gives -1.4 eV/f.u. The value obtained for the final energy is -18.914 eV per cell. Its space group is Immm, No. 71. As for the energy above the most stable polymorph in this dataset: 17 meV per atom. For the calculated volume, the calculation gives 35.58 A^3/atom.

```
Ac2HoTl2
1.0
-2.4879 3.5646 5.0147
2.4879 -3.5646 5.0147
2.4879 3.5646 -5.0147
Ac Ho Tl
2 1 2
Direct
0.1961 0.1961 0.0000
0.8039 0.8039 0.0000
0.5000 0.0000 0.5000
0.2286 0.5000 0.7286
0.7714 0.5000 0.2714
```

Entry 2:
DFT (PBE) results for crystalline Ac3HoTl2 at its relaxed geometry.

Computed properties:
For the formation energy, the calculation gives -1.3 eV/f.u. The value obtained for the final energy is -45.779 eV per cell. Its space group is Ibam, No. 72. For the calculated volume, the calculation gives 36.92 A^3/atom.

```
Ac3HoTl2
1.0
-3.5601 8.7559 3.5527
3.5601 -8.7559 3.5527
3.5601 8.7559 -3.5527
Ac Ho Tl
6 2 4
Direct
0.1775 0.7495 0.9270
0.2500 0.2500 0.0000
0.3225 0.2495 0.5720
0.6775 0.7505 0.4280
0.7500 0.7500 0.0000
0.8225 0.2505 0.0730
0.2500 0.7500 0.5000
0.7500 0.2500 0.5000
0.1292 0.2697 0.3988
0.3708 0.7697 0.1405
0.6292 0.2303 0.8595
0.8708 0.7303 0.6012
```

Entry 3:
DFT (PBE) results for crystalline AcHoTl2 at its relaxed geometry.

Computed properties:
For the formation energy, the calculation gives -0.9 eV/f.u. The value obtained for the final energy is -14.280 eV per cell. Its space group is R-3m, No. 166. For the calculated volume, the calculation gives 33.18 A^3/atom.

```
AcHoTl2
1.0
1.9570 1.1299 10.0032
-1.9570 1.1299 10.0032
0.0000 -2.2598 10.0032
Ac Ho Tl
1 1 2
Direct
0.0000 0.0000 0.0000
0.5000 0.5000 0.5000
0.2434 0.2434 0.2434
0.7566 0.7566 0.7566
```

Entry 4:
DFT (PBE) results for crystalline Ac2HoTl2 at its relaxed geometry.

Computed properties:
For the formation energy, the calculation gives -1.5 eV/f.u. The value obtained for the final energy is -75.996 eV per cell. Its space group is P4/mnc, No. 128. As for the energy above the most stable polymorph in this dataset: 0 meV per atom. For the calculated volume, the calculation gives 35.24 A^3/atom.

```
Ac2HoTl2
1.0
8.3955 0.0000 0.0000
0.0000 8.3955 0.0000
0.0000 0.0000 9.9986
Ac Ho Tl
8 4 8
Direct
0.1703 0.3301 0.0000
0.1699 0.3297 0.5000
0.3301 0.8297 0.0000
0.3297 0.8301 0.5000
0.6699 0.1703 0.0000
0.6703 0.1699 0.5000
0.8297 0.6699 0.0000
0.8301 0.6703 0.5000
0.0000 0.0000 0.2495
0.0000 0.0000 0.7505
0.5000 0.5000 0.2505
0.5000 0.5000 0.7495
0.1319 0.6319 0.2500
0.1319 0.6319 0.7500
0.3681 0.1319 0.2500
0.3681 0.1319 0.7500
0.6319 0.8681 0.2500
0.6319 0.8681 0.7500
0.8681 0.3681 0.2500
0.8681 0.3681 0.7500
```

Entry 5:
DFT (PBE) results for crystalline Ac5Ho2Tl4 at its relaxed geometry.

Computed properties:
*/

Water, Water Everywhere

And REALLY not a DROP to Drink! (I'll explain later!)

Hi Folks!
I am reporting on the week events and the big news was my sister Hasten was reprieved from her Xpen incarceration.  She also had to wear a cone of silence at night---but as you can doesn't work. My parents should get a refund!

Click on this link below:

So, her big day of freedom arrived. Mom and Dad we SO happy! You can click on this link and see her happiness...she really wanted to play with me but also didn't know what to do with her kooky self!

Click on this link:

We also had a small pool introduced to her...I personally don't like to get in water much--maybe a stream or occasionally a lake or beach--but I don't want to swim. I don't get why Mom thinks this is so important!

A man can't even get a decent drink of water...every time I try she digs and splashes it everywhere! It's SO annoying!

Anyway, here's her in the water...embarrassing! Perhaps she will get in more later...I just wish she wouldn't try to play with me later...she gets me all wet!!!

Click on this link:

Here's one more clip that Mom really likes....

Don't think she is so innocent by this picture! 

Ciao! Barclay, the Reluctant Agility Dog